To do.
It remains to repeat the listing further down from the first line to the one with "_atom_site_fract_z" unchanged.
Contents.
<<<
[1]
VASP calculation (PBE) on PrZnCu2O6 after structural relaxation.

Its energy relative to the elements, uncorrected is -12.324 eV/f.u. As for the crystal system: orthorhombic. For the size of the total moment, the calculation gives 0.000 μB/cell.

The structure belongs to space group Pmn2_1 (No. 31); the cell edges are 7.626, 5.458 and 5.215 Å and the angles 90.00°, 90.00° and 90.00°. Symmetry generates all atoms from Pr at (0.000, 0.206, 0.000), Zn at (0.000, 0.697, 0.459), Cu at (0.248, 0.747, 0.985), O at (0.000, 0.295, 0.559), O at (0.000, 0.771, 0.848), O at (0.189, 0.491, 0.223) and O at (0.193, 0.950, 0.293).

[2]
VASP calculation (PBE) on Pr2ZnCuO5 after structural relaxation.

Its energy relative to the elements, uncorrected is -16.278 eV/f.u. As for the crystal system: tetragonal. For the size of the total moment, the calculation gives 2.161 μB/cell.

The structure belongs to space group P4/mbm (No. 127); the cell edges are 6.819, 6.819 and 5.725 Å and the angles 90.00°, 90.00° and 90.00°. Symmetry generates all atoms from Pr at (0.174, 0.326, 0.000), Zn at (0.000, 0.500, 0.500), Cu at (0.000, 0.000, 0.500), O at (0.000, 0.000, 0.000) and O at (0.136, 0.636, 0.254).

[3]
VASP calculation (PBE) on CuPt2O after structural relaxation.

Its energy relative to the elements, uncorrected is 1.763 eV/f.u. As for the crystal system: tetragonal. For the size of the total moment, the calculation gives 0.000 μB/cell.

The structure belongs to space group I-42d (No. 122); the cell edges are 4.702, 4.702 and 12.612 Å and the angles 90.00°, 90.00° and 90.00°. Symmetry generates all atoms from Cu at (0.000, 0.000, 0.000), Pt at (0.114, 0.250, 0.625) and O at (0.000, 0.000, 0.500).

[4]
VASP calculation (PBE) on CuPtO4 after structural relaxation.

Its energy relative to the elements, uncorrected is -2.111 eV/f.u. As for the crystal system: monoclinic. For the size of the total moment, the calculation gives 1.633 μB/cell.

The structure belongs to space group P2_1/c (No. 14); the cell edges are 5.506, 4.398 and 5.587 Å and the angles 90.00°, 110.15° and 90.00°. Symmetry generates all atoms from Cu at (0.000, 0.000, 0.000), Pt at (0.500, 0.000, 0.500), O at (0.171, 0.226, 0.349) and O at (0.326, 0.738, 0.681).

[5]
VASP calculation (PBE) on CuPtO2 after structural relaxation.

Its energy relative to the elements, uncorrected is -1.941 eV/f.u. As for the crystal system: orthorhombic. For the size of the total moment, the calculation gives 0.007 μB/cell.

The structure belongs to space group Pmna (No. 53); the cell edges are 5.284, 4.298 and 4.311 Å and the angles 90.00°, 90.00° and 90.00°. Symmetry generates all atoms from Cu at (0.000, 0.000, 0.000), Pt at (0.000, 0.500, 0.500) and O at (0.250, 0.238, 0.250).

[6]
VASP calculation (PBE) on CuPtO2 after structural relaxation.

Its energy relative to the elements, uncorrected is 0.032 eV/f.u. As for the crystal system: tetragonal. For the size of the total moment, the calculation gives 0.000 μB/cell.

The structure belongs to space group I-42d (No. 122); the cell edges are 5.418, 5.418 and 6.363 Å and the angles 90.00°, 90.00° and 90.00°. Symmetry generates all atoms from Cu at (0.000, 0.000, 0.000), Pt at (0.000, 0.000, 0.500) and O at (0.236, 0.750, 0.125).

Question: Which formula does entry 1 have?
Answer: PrZnCu2O6

Question: size of the total moment of number 5 (CuPtO2)?
Answer: 0.007 μB/cell

* * * * *

[1]
This record from Alexandria via LeMat-Bulk describes crystalline LaHf2Sc at its relaxed geometry. The functional is PBE.

Structure (CIF):
```
data_LaHf2Sc
_space_group_name_H-M_alt 'F m -3 m'
_space_group_IT_number 225
_space_group_name_Hall '-F 4 2 3'
_cell_length_a 7.390
_cell_length_b 7.390
_cell_length_c 7.390
_cell_angle_alpha 90.00
_cell_angle_beta 90.00
_cell_angle_gamma 90.00
loop_
_atom_site_label
_atom_site_fract_x
_atom_site_fract_y
_atom_site_fract_z
_atom_site_occupancy
La1 0.000 0.000 0.000 1
Hf1 0.250 0.250 0.250 1
Sc1 0.000 0.000 0.500 1
```
>>>
Completed.
[1]
VASP calculation (PBE) on PrZnCu2O6 after structural relaxation.

Its energy relative to the elements, uncorrected is -12.324 eV/f.u. As for the crystal system: orthorhombic. For the size of the total moment, the calculation gives 0.000 μB/cell.

The structure belongs to space group Pmn2_1 (No. 31); the cell edges are 7.626, 5.458 and 5.215 Å and the angles 90.00°, 90.00° and 90.00°. Symmetry generates all atoms from Pr at (0.000, 0.206, 0.000), Zn at (0.000, 0.697, 0.459), Cu at (0.248, 0.747, 0.985), O at (0.000, 0.295, 0.559), O at (0.000, 0.771, 0.848), O at (0.189, 0.491, 0.223) and O at (0.193, 0.950, 0.293).

[2]
VASP calculation (PBE) on Pr2ZnCuO5 after structural relaxation.

Its energy relative to the elements, uncorrected is -16.278 eV/f.u. As for the crystal system: tetragonal. For the size of the total moment, the calculation gives 2.161 μB/cell.

The structure belongs to space group P4/mbm (No. 127); the cell edges are 6.819, 6.819 and 5.725 Å and the angles 90.00°, 90.00° and 90.00°. Symmetry generates all atoms from Pr at (0.174, 0.326, 0.000), Zn at (0.000, 0.500, 0.500), Cu at (0.000, 0.000, 0.500), O at (0.000, 0.000, 0.000) and O at (0.136, 0.636, 0.254).

[3]
VASP calculation (PBE) on CuPt2O after structural relaxation.

Its energy relative to the elements, uncorrected is 1.763 eV/f.u. As for the crystal system: tetragonal. For the size of the total moment, the calculation gives 0.000 μB/cell.

The structure belongs to space group I-42d (No. 122); the cell edges are 4.702, 4.702 and 12.612 Å and the angles 90.00°, 90.00° and 90.00°. Symmetry generates all atoms from Cu at (0.000, 0.000, 0.000), Pt at (0.114, 0.250, 0.625) and O at (0.000, 0.000, 0.500).

[4]
VASP calculation (PBE) on CuPtO4 after structural relaxation.

Its energy relative to the elements, uncorrected is -2.111 eV/f.u. As for the crystal system: monoclinic. For the size of the total moment, the calculation gives 1.633 μB/cell.

The structure belongs to space group P2_1/c (No. 14); the cell edges are 5.506, 4.398 and 5.587 Å and the angles 90.00°, 110.15° and 90.00°. Symmetry generates all atoms from Cu at (0.000, 0.000, 0.000), Pt at (0.500, 0.000, 0.500), O at (0.171, 0.226, 0.349) and O at (0.326, 0.738, 0.681).

[5]
VASP calculation (PBE) on CuPtO2 after structural relaxation.

Its energy relative to the elements, uncorrected is -1.941 eV/f.u. As for the crystal system: orthorhombic. For the size of the total moment, the calculation gives 0.007 μB/cell.

The structure belongs to space group Pmna (No. 53); the cell edges are 5.284, 4.298 and 4.311 Å and the angles 90.00°, 90.00° and 90.00°. Symmetry generates all atoms from Cu at (0.000, 0.000, 0.000), Pt at (0.000, 0.500, 0.500) and O at (0.250, 0.238, 0.250).

[6]
VASP calculation (PBE) on CuPtO2 after structural relaxation.

Its energy relative to the elements, uncorrected is 0.032 eV/f.u. As for the crystal system: tetragonal. For the size of the total moment, the calculation gives 0.000 μB/cell.

The structure belongs to space group I-42d (No. 122); the cell edges are 5.418, 5.418 and 6.363 Å and the angles 90.00°, 90.00° and 90.00°. Symmetry generates all atoms from Cu at (0.000, 0.000, 0.000), Pt at (0.000, 0.000, 0.500) and O at (0.236, 0.750, 0.125).

Question: Which formula does entry 1 have?
Answer: PrZnCu2O6

Question: size of the total moment of number 5 (CuPtO2)?
Answer: 0.007 μB/cell

* * * * *

[1]
This record from Alexandria via LeMat-Bulk describes crystalline LaHf2Sc at its relaxed geometry. The functional is PBE.

Structure (CIF):
```
data_LaHf2Sc
_space_group_name_H-M_alt 'F m -3 m'
_space_group_IT_number 225
_space_group_name_Hall '-F 4 2 3'
_cell_length_a 7.390
_cell_length_b 7.390
_cell_length_c 7.390
_cell_angle_alpha 90.00
_cell_angle_beta 90.00
_cell_angle_gamma 90.00
loop_
_atom_site_label
_atom_site_fract_x
_atom_site_fract_y
_atom_site_fract_z